Why Development Projects & Digitalisation Are Aligned

Why development projects

Why development projects


In an era marked by technological advancements, it’s natural that digital transformation follows in property development appraisal. Many changes stem from technological progress, but not all are solely due to innovations and technology.

Some changes have emerged due to shifts in compliance and regulations. Property appraisals haven’t been intensely scrutinised yet, but we recognise digitalisation’s value to the property sector.

It’s our immediate goal to champion this trend. No industry is immune to digital disruption, and the property sector is no exception.

Property has been late in embracing digitisation compared to other sectors. Leisure, hospitality, and retail lead the way in commercial property adoption.

Between two parts of the entry: records of crystals =
Ac3Sm8Y | Alexandria via LeMat-Bulk | PBE | optimized geometry; calculated density = 7.50 g cm⁻³; DFT formation energy = 69 meV per atom; SG = P1, No. 1
1.0
6.8567 0.0000 0.0000
-2.9150 8.2954 0.0000
-2.9414 -3.1645 7.6806
Ac Sm Y
3 8 1
Direct
0.0000 0.0000 0.0000 Ac
0.9998 0.2650 0.7318 Ac
0.5021 0.1426 0.8590 Ac
0.9996 0.6670 0.6600 Sm
0.0023 0.9225 0.4050 Sm
0.0032 0.5958 0.0763 Sm
0.0056 0.3424 0.3352 Sm
0.4923 0.2228 0.4398 Sm
0.5031 0.8810 0.1221 Sm
0.5093 0.4895 0.1921 Sm
0.5094 0.5615 0.7776 Sm
0.4940 0.8063 0.5085 Y

=====

Entry 1:
Computed, not measured: a relaxed Ac2MgPaNi6 crystal at the PBE level of DFT.

Unit cell a=11.9299 b=5.2519 c=8.3861 alpha=90.00 beta=130.60 gamma=90.00
With the nearest neighbours (Å) after each atom.
Space group C2/m (No. 12)
Inequivalent atoms, fractional coordinates:
Ac 0.2351 0.0000 0.1768 (multiplicity 4)  11 Ni 3.25-3.64, 2 Mg 3.40, 2 Pa 3.62
Mg 0.0000 0.5000 0.0000 (multiplicity 2)  6 Ni 2.54-2.77
Pa 0.0000 0.0000 0.5000 (multiplicity 2)  6 Ni 2.44-2.61
Ni 0.0306 0.2588 0.2883 (multiplicity 8)  3 Ni 2.42-2.53, 1 Pa 2.44, 1 Mg 2.54
Ni 0.2502 0.0000 0.5776 (multiplicity 4)  4 Ni 2.42-2.51, 1 Pa 2.61

Calculated values
Energy of formation from the pure elements (eV per formula unit): -1.95

Entry 2:
Computed, not measured: a relaxed Zr2ScIn crystal at the PBE level of DFT.

Unit cell a=3.1124 b=5.3781 c=5.5282 alpha=90.00 beta=96.19 gamma=90.00
With the nearest neighbours (Å) after each atom.
Space group P2/m (No. 10)
Inequivalent atoms, fractional coordinates:
Zr 0.2057 0.0000 0.2558 (multiplicity 2)  5 Zr 2.98-3.11, 2 In 3.11, 2 Sc 3.22
Sc 0.5000 0.5000 0.0000 (multiplicity 1)  4 In 3.02-3.32, 2 Sc 3.11, 4 Zr 3.22
In 0.0000 0.5000 0.5000 (multiplicity 1)  4 Sc 3.02-3.32, 4 Zr 3.11, 2 In 3.11

Calculated values
Energy of formation from the pure elements (eV per formula unit): -0.52

=====

Compound: Tl3AsS3
Source: the Alexandria database
Functional: PBE
Structure: relaxed

## Properties
- distance to the lowest polymorph of the same formula (meV/atom) = 0
- symmetry = Pbca
- E_tot (eV per atom) = -3.7681

Unit cell a=5.775 b=12.814 c=22.231 alpha=90.00 beta=90.00 gamma=90.00
Fractional positions:
1 Tl 0.932 0.337 0.521
2 Tl 0.432 0.163 0.479
3 Tl 0.455 0.576 0.192
4 Tl 0.045 0.424 0.692
5 Tl 0.582 0.289 0.184
6 Tl 0.455 0.924 0.692
7 Tl 0.932 0.163 0.021
8 Tl 0.955 0.576 0.308
9 Tl 0.918 0.789 0.184
10 Tl 0.545 0.076 0.308
11 Tl 0.568 0.663 0.021
12 Tl 0.082 0.211 0.816
13 Tl 0.545 0.424 0.808
14 Tl 0.082 0.289 0.316
15 Tl 0.418 0.711 0.816
16 Tl 0.068 0.837 0.979
17 Tl 0.068 0.663 0.479
18 Tl 0.955 0.924 0.808
19 Tl 0.918 0.711 0.684
20 Tl 0.045 0.076 0.192
21 Tl 0.418 0.789 0.316
22 Tl 0.582 0.211 0.684
23 Tl 0.568 0.837 0.521
24 Tl 0.432 0.337 0.979
25 As 0.956 0.959 0.412
26 As 0.044 0.041 0.588
27 As 0.544 0.459 0.412
28 As 0.456 0.541 0.588
29 As 0.956 0.541 0.912
30 As 0.456 0.959 0.088
31 As 0.044 0.459 0.088
32 As 0.544 0.041 0.912
33 S 0.148 0.047 0.914
34 S 0.352 0.953 0.414

However, there have been notable advancements in the property field. These include virtual tours, automated transactions, and personalised services.

Digital technologies have enhanced the property buying experience. They have also streamlined operational efficiency for real estate agents.

To offer an analogy highlighting the need to embrace change, consider that spreadsheets can’t support real-time decision-making. Gathering up-to-date information from various users and summarising it is time-consuming. Moreover, spreadsheets are susceptible to manipulation due to their inherent lack of controls and quality governance.

Similarly, let’s analyse the traditional method of manually collecting data and images, calculating sales figures, evaluating development properties, and constructing a report. Transitioning to digital processes is easier, more efficient, and more accurate.

The property industry’s landscape is evolving rapidly, and to remain competitive, it’s imperative to harness digitalisation’s potential. This is particularly true in property development.

This entails adapting to technological changes and actively leveraging these advancements for improved efficiency, accuracy, and overall operational excellence. By embracing digital transformation, the property development sector can ensure its relevance and resilience in the face of a rapidly evolving landscape.

The Imperative of digitalisation in property development

Digital transformation is reshaping the property industry due to the implementation of digital technologies. Various real estate sectors are fundamentally transforming, including developers, brokers, agents, investors, and lenders.

This shift involves more than adopting new technologies; it includes skills evolution, environmental changes, and new operational strategies. These changes address the evolving demands of customers in the property market.

The adoption of digital technologies has affected every aspect of the property landscape. Developers use innovative platforms to streamline project management, improve collaboration, and enhance development processes.

Property brokers use digital media for virtual tours, interactive listings, and data-driven insights to meet buyers’ expectations. Real estate agents use CRM systems and analytics to focus on personalisation and data-driven decisions. They tailor offerings to individual preferences and improve client communication.

Investors are tapping into digital platforms that provide comprehensive market insights, enabling them to make informed decisions that align with their investment goals.

For lenders, digital transformation is reshaping the loan origination process. It is making it more efficient and convenient. Online applications, automated underwriting, and digital document submission streamline the process. They also enhance the borrower’s experience.

Customers’ evolving demands are at the forefront of this transformation. Modern consumers expect seamless digital experiences and instant information access. They also seek personalised solutions. Consequently, the real estate industry embraces a cultural shift. It places customer-centricity and digital innovation at its core.

The rapid pace of technological advancements means that ongoing adaptation is essential. Embracing digital transformation is no longer optional. It is necessary for survival and success in a fiercely competitive landscape.

By fostering a culture of continuous learning and technological integration, the property industry can meet customer demands. It can also anticipate and exceed them.

Ultimately, digital transformation is a journey of empowerment. It equips every stakeholder with the necessary tools and strategies. This helps them navigate the ever-evolving property landscape.

Development Finance in the Digital Era

Grasping the concepts of development and refurbishment is pivotal. Development pertains to creating new properties through ground-up construction or substantial building enhancements. Refurbishment, however, involves renovating or improving existing properties to enhance their value and appeal.

These distinct approaches necessitate different strategies and financial considerations, making it imperative to comprehend their nuances before embarking on a project.

However, the path to success continues beyond conceptual understanding alone. Navigating the landscape of development finance adds another layer of complexity. The quest to secure financing for your project requires a keen sense of the various lenders available and how they align with your specific needs.

Just as every brushstroke contributes to the masterpiece, selecting the right lender is a crucial element in the canvas of development finance. Lenders are not uniform; they exhibit nuances in their offerings, criteria, and preferences. Matching your project with the appropriate lender involves presenting it in a way that captures their attention and ignites their enthusiasm to bring your vision to life.

Selecting the right lender involves more than mere transactional considerations. It’s an art form that requires a deep understanding of lender preferences, risk appetites, and the unique aspects of your project.

Crafting a compelling narrative around your project, backed by robust financial projections, demonstrates your commitment and ensures that lenders see the potential for success.

Much like an artist strategically chooses their medium, colour palette, and technique, you must strategically tailor your presentation to resonate with lenders.

Delving into the specifics of your project, outlining the value proposition, and showcasing your team’s expertise can tip the scales in your favour. The goal is to evoke not just interest but eagerness from potential lenders to join your endeavour.

Securing development finance is a multidimensional journey that encompasses understanding development concepts, refurbishment strategies, and the art of lender selection.

Just as an artist’s canvas evolves into a masterpiece through skilful strokes, your project’s success hinges on your ability to navigate lender nuances and present your vision in a compelling light.

By embracing the art of lender selection, you secure financing and set the stage for realising your property development aspirations.

Advantages of Collaborating with Connect

┌──
[1]
Entry from Alexandria via LeMat-Bulk: a geometry-optimized La2AlSi3Pd4 structure (PBE-GGA).

POSCAR file:
```
La2AlSi3Pd4
1.0
4.310 0.000 0.000
0.000 4.310 0.000
0.000 0.000 10.138
La Al Si Pd
2 1 3 4
Direct
0.000 0.500 0.250
0.500 0.000 0.750
0.000 0.000 0.500
0.000 0.500 0.874
0.500 0.000 0.126
0.500 0.500 0.500
0.000 0.000 0.000
0.000 0.500 0.631
0.500 0.000 0.369
0.500 0.500 0.000
```

Results
energy relative to the elements, uncorrected: -0.927 eV per atom

=====

[2]
Entry from Alexandria via LeMat-Bulk: a geometry-optimized Ac4PdSBr2 structure (PBE-GGA).

POSCAR file:
```
Ac4PdSBr2
1.0
7.714 0.000 0.000
0.000 4.279 0.000
-2.577 0.000 7.992
Ac Pd S Br
4 1 1 2
Direct
0.228 0.000 0.211
0.268 0.500 0.794
0.732 0.500 0.206
0.772 0.000 0.789
0.500 0.000 0.000
0.000 0.500 0.000
0.000 0.000 0.500
0.500 0.500 0.500
```

Results
energy relative to the elements, uncorrected: -1.310 eV per atom

=====

[3]
Entry from Alexandria via LeMat-Bulk: a geometry-optimized In5IrRh4 structure (PBE-GGA).

POSCAR file:
```
In5IrRh4
1.0
3.150 0.000 0.000
0.000 3.150 0.000
0.000 0.000 17.119
In Ir Rh
5 1 4
Direct
0.000 0.000 0.000
0.000 0.000 0.199
0.000 0.000 0.398
0.000 0.000 0.602
0.000 0.000 0.801
0.500 0.500 0.500
0.500 0.500 0.099
0.500 0.500 0.298
0.500 0.500 0.702
0.500 0.500 0.901
```

Results
E: -55.47 eV per cell

=====

[4]
Entry from Alexandria via LeMat-Bulk: a geometry-optimized CsBH3 structure (PBE-GGA).

POSCAR file:
```
CsBH3
1.0
3.796 0.000 0.000
0.000 3.796 0.000
0.000 0.000 3.796
Cs B H
1 1 3
Direct
0.000 0.000 0.000
0.500 0.500 0.500
0.000 0.500 0.500
0.500 0.000 0.500
0.500 0.500 0.000
```

Results
E: -13.98 eV per cell

=====

[5]
Entry from Alexandria via LeMat-Bulk: a geometry-optimized Nd6MgTe8 structure (PBE-GGA).

POSCAR file:
```
Nd6MgTe8
1.0
4.696 2.711 6.314
-4.696 2.711 6.314
0.000 -5.423 6.314
Nd Mg Te
6 1 8
Direct
0.084 0.688 0.462
0.312 0.538 0.916
0.462 0.084 0.688
0.538 0.916 0.312
0.688 0.462 0.084
0.916 0.312 0.538
0.000 0.000 0.000
0.093 0.352 0.824
0.176 0.907 0.648
0.327 0.327 0.327
0.352 0.824 0.093
0.648 0.176 0.907
0.673 0.673 0.673
0.824 0.093 0.352
0.907 0.648 0.176
```

Results
energy relative to the elements, uncorrected: -1.302 eV per atom

=====

[6]
Entry from Alexandria via LeMat-Bulk: a geometry-optimized HfNbCdO6 structure (PBE-GGA).

POSCAR file:
```
HfNbCdO6
1.0
5.456 0.000 0.000
-2.728 4.725 0.000
0.000 0.000 4.717
Hf Nb Cd O
1 1 1 6
Direct
0.000 0.000 0.000
0.333 0.667 0.000
0.667 0.333 0.500
0.031 0.342 0.227
0.031 0.689 0.773
0.311 0.342 0.773
0.311 0.969 0.227
0.658 0.689 0.227
0.658 0.969 0.773
```

Results
energy relative to the elements, uncorrected: -2.253 eV per atom

=====

[7]
Entry from Alexandria via LeMat-Bulk: a geometry-optimized Cd3Mo structure (PBE-GGA).

POSCAR file:
```
Cd3Mo
1.0
2.895 0.000 0.000
0.000 4.439 0.000
0.000 0.000 6.079
Cd Mo
3 1
Direct
0.000 0.000 0.000
0.500 0.500 0.266
0.500 0.500 0.734
0.000 0.000 0.500
```

Results
E: -11.95 eV per cell

=====

[8]
└──

The Connect Network stands out by delivering various advantages that distinguish it from other networks. These advantages encompass a vast spectrum, granting you access to an extensive network of over 200 diverse lenders and providers.

This network spans conventional residential and buy-to-let segments, extending its reach to encompass specialised alternatives like commercial mortgages, bridging solutions, and development finance.

Our esteemed network of specialist lenders takes into consideration a comprehensive array of scenarios, including:

  • Land acquisitions, whether with or without pre-existing planning
  • Conversions from commercial to residential properties
  • Robust strategies for commercial development initiatives
  • Residential development schemes designed for success
  • Collaborative Joint Ventures that leverage shared expertise
  • Aspiring first-time developers backed by a skilled professional team

Furthermore, Development Exit finance is advantageous for developers unlocking equity in a project before its final sale. This offers access to more cost-effective financing and helps developers transition to subsequent ventures more easily.

Your association with the Connect Network opens doors to unparalleled opportunities in property development finance. The network’s breadth empowers you with a comprehensive toolkit covering many financial avenues.

Whether venturing into residential projects, exploring buy-to-let endeavours, delving into commercial ventures, or navigating bridging and development finance, the Connect Network is your gateway to diverse possibilities.

In a landscape where flexibility and adaptability are paramount, the Connect Network’s reach positions you to confidently explore various dimensions of property finance. With each lender on board, your potential for securing the ideal financing solution aligns with your specific goals.

Embrace the unparalleled access and multifaceted opportunities the Connect Network brings, propelling you toward success in the dynamic world of digitalisation and property finance.

How to work with connect

When shaping your clients’ path, the decision is in your hands. You can choose an approach that matches your style. Alternatively, you can advise your clients directly, using Connect’s resources for essential information and terms.

You can also refer your clients to Connect, where we advise them while keeping you informed throughout. The beauty lies in the flexibility of choice, showing our commitment to empowering you professionally.

Your approach is adaptable to your preferences and your client’s needs. The dual options allow you to tailor your strategy to the situation. This ensures your client’s journey is seamless and aligned with their requirements.

With the refer or package choice, you can match your client’s comfort level and align with your expertise. Connect complements your efforts by providing the necessary tools and insights if you advise directly.

## Crystal structures from another source follow
~~~
# 1
DFT (PBE-GGA) results for crystalline Cs2Na2Ga at its relaxed geometry.

Computed properties:
SG   P4/mbm (127)
Offset from the most stable computed form   0 meV/atom
Energy of formation from the pure elements   0.15 eV per atom

a = 8.5804 Å, b = 8.5804 Å, c = 6.7766 Å
α = 90.00°, β = 90.00°, γ = 90.00°
Closest atoms and distances in Å follow each position.
Atoms (fractional coordinates):
1 Cs 0.1856 0.3144 0.0000  2 Na 3.88
2 Cs 0.3144 0.8144 0.0000  2 Na 3.88
3 Cs 0.6856 0.1856 0.0000  2 Na 3.88
4 Cs 0.8144 0.6856 0.0000  2 Na 3.88
5 Na 0.1579 0.6579 0.5000  2 Ga 3.23
6 Na 0.3421 0.1579 0.5000  2 Ga 3.23
7 Na 0.6579 0.8421 0.5000  2 Ga 3.23
8 Na 0.8421 0.3421 0.5000  2 Ga 3.23
9 Ga 0.0000 0.0000 0.5000  4 Na 3.23
10 Ga 0.5000 0.5000 0.5000  4 Na 3.23

***

# 2
DFT (PBE-GGA) results for crystalline CrInSnSe2 at its relaxed geometry.

Computed properties:
SG   P4/mmm (123)
ΔE_f (raw)   0.1515 eV/atom

a = 4.8962 Å, b = 4.8962 Å, c = 5.2516 Å
α = 90.00°, β = 90.00°, γ = 90.00°
Closest atoms and distances in Å follow each position.
Atoms (fractional coordinates):
1 Cr 0.0000 0.0000 0.0000  4 Se 2.45, 2 In 2.63
2 In 0.0000 0.0000 0.5000  2 Cr 2.63
3 Sn 0.5000 0.5000 0.5000  4 In 3.46, 8 Se 3.59
4 Se 0.0000 0.5000 0.0000  2 Cr 2.45
5 Se 0.5000 0.0000 0.0000  2 Cr 2.45

***

# 3
DFT (PBE-GGA) results for crystalline Be2AgW at its relaxed geometry.

Computed properties:
SG   Immm (71)
Offset from the most stable computed form   464 meV/atom
Energy of formation from the pure elements   0.64 eV per atom

a = 2.7300 Å, b = 4.8035 Å, c = 8.2719 Å
α = 90.00°, β = 90.00°, γ = 90.00°
Closest atoms and distances in Å follow each position.
Atoms (fractional coordinates):
1 Be 0.0000 0.0000 0.2437  2 Ag 2.43, 2 W 2.52
2 Be 0.0000 0.0000 0.7563  2 Ag 2.43, 2 W 2.52
3 Be 0.5000 0.5000 0.2563  2 Ag 2.43, 2 W 2.52
4 Be 0.5000 0.5000 0.7437  2 Ag 2.43, 2 W 2.52
5 Ag 0.0000 0.5000 0.5000  4 Be 2.43
6 Ag 0.5000 0.0000 0.0000  4 Be 2.43
7 W 0.0000 0.5000 0.0000  4 Be 2.52, 2 W 2.73, 4 Ag 2.76
8 W 0.5000 0.0000 0.5000  4 Be 2.52, 2 W 2.73, 4 Ag 2.76

***

# 4
DFT (PBE-GGA) results for crystalline La4IrPb at its relaxed geometry.

Computed properties:
SG   C2/c (15)
Offset from the most stable computed form   24 meV/atom
Energy of formation from the pure elements   -0.51 eV per atom

a = 8.5547 Å, b = 8.5547 Å, c = 6.2349 Å
α = 102.08°, β = 102.08°, γ = 115.88°
Closest atoms and distances in Å follow each position.
Atoms (fractional coordinates):
1 La 0.0712 0.7023 0.9300  2 Ir 3.22-3.25, 2 Pb 3.37-3.39, 3 La 3.50-3.60
2 La 0.1990 0.3444 0.6474  2 Ir 2.92-2.98
3 La 0.2977 0.9288 0.5700  2 Ir 3.22-3.25, 2 Pb 3.37-3.39, 3 La 3.50-3.60
4 La 0.3444 0.1990 0.1474  2 Ir 2.92-2.98
5 La 0.6556 0.8010 0.8526  2 Ir 2.92-2.98
6 La 0.7023 0.0712 0.4300  2 Ir 3.22-3.25, 2 Pb 3.37-3.39, 3 La 3.50-3.60
7 La 0.8010 0.6556 0.3526  2 Ir 2.92-2.98
8 La 0.9288 0.2977 0.0700  2 Ir 3.22-3.25, 2 Pb 3.37-3.39, 3 La 3.50-3.60
9 Ir 0.9998 0.0002 0.2500  8 La 2.92-3.25, 2 Ir 3.12
~~~

Opting for referral entrusts Connect to guide your client while keeping you fully informed. This choice exemplifies our commitment to your success, where customisation and adaptability are paramount.

We understand that no two clients are alike, so your strategy should reflect their uniqueness. The refer or package flexibility lets you maintain your signature approach and benefit from Connect’s support.

Elevate your advisory journey with the power of choice. Embrace the refer or package option to create a client experience that matches your expertise and values. With Connect as your ally, your client’s path to property finance excellence becomes collaborative.
